Statistics on procedures under the revised Asylum Act
Eighteen months after the revised Asylum Act came into force, the percentages of cases processed at the Federal Administrative Court are almost identical to those after the first year.

In the first 18 months following the introduction of the revised Asylum Act on 1 March 2019, the Federal Administrative Court (FAC) received a total of 6,070 asylum procedures. Two-thirds of these (4,033) still concerned the previous Asylum Act, while the other 1,697 were subject to the revised Act. In addition, 31 appeals were received in the context of procedures at the airport and 309 appeals about special procedures, in particular reviews and re-examinations. During this period, the court dealt with 6,226 asylum cases, of which 4,470 were completed in accordance with the old law 1,503 with the new law, as well as 30 procedures at the airport and 223 special procedures.
Compliance with the time limits
The revision of the Act introduced new time limits for the court to process applications. The FAC has five working days to process appeals against decisions to dismiss an application (particularly under the Dublin procedure) or appeals in cases concerning asylum seekers from safe countries of origin. In accelerated procedures, the FAC may take 20 calendar days and the legislator has established that the time limit may be exceeded by a few days for valid reasons (Art. 109, Para. 4, AsylA).
The FAC largely complied with these time limits in the first 18 months. The five-day time limit was complied with in 67 per cent of cases (583 procedures) and exceeded by a few days in 19 per cent of cases (166 procedures). The court complied with the 20-day time limit in 72 per cent of cases (442 procedures) and exceeded it by a couple of days in 8 per cent of cases. Compared to the last evaluation completed by the court following the first 12 months since the new legislation came into force, the picture is almost identical. Despite the sometimes difficult work situation caused by the coronavirus pandemic, the FAC reports relatively stable asylum case processing. High-quality judgments and compliance with the short statutory time limits for processing continue to be given top priority.
Pending cases and types of completion
Although the FAC was able to further reduce the number of pending old cases, the number of pending cases in procedures under the new law increased by 70 compared to the first 12 months. This is particularly due to a higher business volume in the extended procedures, in which 163 appeals were received and 58 cases were completed.
However, the types of completion have remained almost identical. In the period observed here (18 months), 69 per cent of cases were rejected (previous period [12 months]: 67 per cent), 6 per cent were partially or fully approved (previous period: 6 per cent), 13 per cent were referred back to the State Secretariat for Migration (previous period: 15 per cent), 4 per cent were abandoned (previous period: 4 per cent) and 8 per cent led to a decision to dismiss an application (previous period: 8 per cent).
Information on the time limits under the revised Act
In the accelerated procedure, simple cases are to be decided on with final effect within 140 calendar days and are to be effected in the event of rejection. The procedure is conducted in the federal centres as asylum seekers are not allocated to the cantons. A short time limit of 7 working days applies to the appeal. The FAC must decide on the appeal within 20 calendar days. In order to meet these time requirements, the pre-trial proceedings are strictly timed by law and last usually 29 days (21 calendar days for preparation + 8 working days for decision making).
The extended procedure deals with cases which cannot be processed within the short time limit due to their complexity. The asylum seekers are allocated to a canton. Both the time limit for the appeal and the FAC processing deadline are 30 calendar days each. The triage is conducted by the State Secretariat for Migration after the hearing of the grounds for seeking asylum.

Someone pasted crystal structures at this point
- - -
# 1
The following is a PBE-GGA calculation of a relaxed structure of ReP2Ir, from Alexandria via LeMat-Bulk.

energy relative to the elements: -0.34 eV per formula unit
offset from the most stable computed form: 218 meV per atom
theoretical density: 13.38 g cm⁻³

Geometry as POSCAR:
```
ReP2Ir
1.0
4.061 0.000 0.000
0.000 2.920 0.000
-1.975 0.000 4.610
Re P Ir
1 2 1
direct
0.000 0.000 0.000
0.000 0.000 0.500
0.500 0.500 0.000
0.500 0.500 0.500
```

***

# 2
The following is a PBE-GGA calculation of a relaxed structure of ReP2Ir, from Alexandria via LeMat-Bulk.

energy relative to the elements: -0.05 eV per formula unit
offset from the most stable computed form: 289 meV per atom
theoretical density: 12.71 g cm⁻³

Geometry as POSCAR:
```
ReP2Ir
1.0
1.499 0.865 7.398
-1.499 0.865 7.398
0.000 -1.730 7.398
Re P Ir
1 2 1
direct
0.000 0.000 0.000
0.489 0.489 0.489
0.739 0.739 0.739
0.227 0.227 0.227
```

=====

# 1
An optimized crystal structure of PaSbTe, computed with PBE-GGA.

a b c (Å): 7.173 7.173 7.173
angles (deg): 90.00 90.00 90.00
Space group F-43m (No. 216)
Asymmetric unit:
Pa  0.000  0.000  0.000 x4
Sb  0.000  0.000  0.500 x4
Te  0.250  0.250  0.250 x4

# 2
An optimized crystal structure of GdTm2Al2Zn3Cd, computed with PBE-GGA.

a b c (Å): 4.458 12.142 6.942
angles (deg): 90.00 90.00 90.00
Space group Amm2 (No. 38)
Asymmetric unit:
Gd  0.000  0.000  0.000 x2
Tm  0.000  0.217  0.354 x4
Al  0.500  0.168  0.069 x4
Zn  0.500  0.000  0.319 x2
Zn  0.500  0.125  0.693 x4
Cd  0.000  0.000  0.563 x2

# 3
An optimized crystal structure of RbDyB4, computed with PBE-GGA.

a b c (Å): 3.126 7.945 7.965
angles (deg): 90.00 90.00 90.00
Space group Immm (No. 71)
Asymmetric unit:
Rb  0.000  0.000  0.000 x2
Dy  0.000  0.500  0.000 x2
B  0.000  0.244  0.263 x8

# 4
An optimized crystal structure of Be2CoSi, computed with PBE-GGA.

a b c (Å): 5.320 5.320 5.320
angles (deg): 90.00 90.00 90.00
Space group F-43m (No. 216)
Asymmetric unit:
Be  0.000  0.000  0.000 x4
Be  0.250  0.250  0.250 x4
Co  0.250  0.250  0.750 x4
Si  0.000  0.000  0.500 x4

# 5
An optimized crystal structure of Dy3Y2Lu2Ni2Se2, computed with PBE-GGA.

a b c (Å): 3.795 15.027 9.273
angles (deg): 90.00 90.00 90.00
Space group Imm2 (No. 44)
Asymmetric unit:
Dy  0.000  0.000  0.000 x2
Dy  0.000  0.126  0.412 x4
Y  0.000  0.359  0.258 x4
Lu  0.000  0.317  0.616 x4
Ni  0.000  0.239  0.927 x4
Se  0.000  0.000  0.662 x2
Se  0.000  0.500  0.755 x2

# 6
An optimized crystal structure of MgAlW2, computed with PBE-GGA.

a b c (Å): 6.355 6.355 6.355
angles (deg): 90.00 90.00 90.00
Space group F-43m (No. 216)
Asymmetric unit:
Mg  0.000  0.000  0.000 x4
Al  0.250  0.250  0.750 x4
W  0.000  0.000  0.500 x4
W  0.250  0.250  0.250 x4

# 7
An optimized crystal structure of Zn2Pb, computed with PBE-GGA.

a b c (Å): 5.9088 5.9088 4.3086
angles (deg): 90.00 90.00 120.00
Space group P-62m (No. 189)
Asymmetric unit:
Zn  0.0000  0.0000  0.0000 x1
Zn  0.0000  0.2680  0.5000 x3
Pb  0.3333  0.6667  0.0000 x2

# 8
- - -
Rocco Maglio
Press secretary